What is needed: work out how many lines underneath have the word "ATOMIC_POSITIONS" in them; a number is enough.
=====
Entry 1:
! Li3Ni5O10 PBE+U relaxed; values from VASP
&SYSTEM
  ibrav = 0, nat = 18, ntyp = 3
/
ATOMIC_SPECIES
Li 6.94 Li.upf
Ni 58.69 Ni.upf
O 16.00 O.upf
CELL_PARAMETERS angstrom
5.002 0.000 0.000
0.900 4.960 0.000
2.411 1.967 6.755
ATOMIC_POSITIONS crystal
Li 0.000 0.000 0.000
Li 0.278 0.501 0.918
Li 0.722 0.499 0.082
Ni 0.198 0.013 0.600
Ni 0.394 0.002 0.198
Ni 0.500 0.500 0.500
Ni 0.606 0.998 0.802
Ni 0.802 0.987 0.400
O 0.050 0.204 0.166
O 0.176 0.785 0.445
O 0.285 0.230 0.740
O 0.388 0.781 0.039
O 0.448 0.221 0.355
O 0.552 0.779 0.645
O 0.612 0.219 0.961
O 0.715 0.770 0.260
O 0.824 0.215 0.555
O 0.950 0.796 0.834
! corrected total energy (MP2020 scheme)	-5.882	eV/atom
! total moment	3.0	μB per formula unit
! energy of formation from the pure elements	-1209	meV per atom
! energy above the most stable polymorph in this dataset	37	meV/atom
! density	4699	kg/m³
! V	168	Å³ per cell
! VASP energy	-4.7945	eV/atom



Entry 2:
! NaCrF4 PBE+U relaxed; values from VASP
&SYSTEM
  ibrav = 0, nat = 24, ntyp = 3
/
ATOMIC_SPECIES
Na 22.99 Na.upf
Cr 52.00 Cr.upf
F 19.00 F.upf
CELL_PARAMETERS angstrom
7.994 0.000 0.000
0.000 5.415 0.000
-1.477 0.000 7.387
ATOMIC_POSITIONS crystal
Na 0.136 0.220 0.390
Na 0.136 0.280 0.890
Na 0.864 0.720 0.110
Na 0.864 0.780 0.610
Cr 0.331 0.742 0.202
Cr 0.331 0.758 0.702
Cr 0.669 0.242 0.298
Cr 0.669 0.258 0.798
F 0.130 0.544 0.187
F 0.130 0.956 0.687
F 0.190 0.019 0.126
F 0.190 0.481 0.626
F 0.332 0.641 0.951
F 0.332 0.859 0.451
F 0.460 0.061 0.795
F 0.460 0.439 0.295
F 0.540 0.561 0.705
F 0.540 0.939 0.205
F 0.668 0.141 0.549
F 0.668 0.359 0.049
F 0.810 0.519 0.374
F 0.810 0.981 0.874
F 0.870 0.044 0.313
F 0.870 0.456 0.813
! corrected total energy (MP2020 scheme)	-6.175	eV/atom
! energy of formation from the pure elements	-3069	meV per atom
! density	3136	kg/m³
! V	320	Å³ per cell
! VASP energy	-5.5337	eV/atom



Entry 3:
! MgP2W2O10 PBE+U relaxed; values from VASP
&SYSTEM
  ibrav = 0, nat = 30, ntyp = 4
/
ATOMIC_SPECIES
Mg 24.30 Mg.upf
P 30.97 P.upf
W 183.84 W.upf
O 16.00 O.upf
CELL_PARAMETERS angstrom
0.000 7.835 3.790
6.119 0.000 3.790
6.119 7.835 0.000
ATOMIC_POSITIONS crystal
Mg 0.000 0.000 0.000
Mg 0.250 0.250 0.250
P 0.055 0.457 0.044
P 0.206 0.806 0.195
P 0.457 0.055 0.444
P 0.806 0.206 0.793
W 0.132 0.629 0.619
W 0.629 0.132 0.620
W 0.630 0.631 0.621
W 0.631 0.630 0.118
O 0.008 0.314 0.716
O 0.070 0.382 0.914
O 0.193 0.882 0.324
O 0.254 0.941 0.525
O 0.289 0.534 0.936
O 0.314 0.008 0.961
O 0.336 0.616 0.180
O 0.382 0.070 0.634
O 0.426 0.586 0.412
O 0.534 0.289 0.242
O 0.586 0.426 0.576
O 0.616 0.336 0.868
O 0.649 0.926 0.368
O 0.674 0.838 0.664
O 0.725 0.970 0.996
O 0.838 0.674 0.824
O 0.882 0.193 0.601
O 0.926 0.649 0.057
O 0.941 0.254 0.280
O 0.970 0.725 0.309
! corrected total energy (MP2020 scheme)	-8.261	eV/atom
! total moment	4.0	μB per formula unit
! energy of formation from the pure elements	-2406	meV per atom
! density	5610	kg/m³
! V	363	Å³ per cell
! VASP energy	-7.2115	eV/atom



Entry 4:
! Li4Co3O7 PBE+U relaxed; values from VASP
&SYSTEM
  ibrav = 0, nat = 28, ntyp = 3
/
ATOMIC_SPECIES
Li 6.94 Li.upf
Co 58.93 Co.upf
O 16.00 O.upf
CELL_PARAMETERS angstrom
7.704 -1.458 0.000
7.704 1.458 0.000
-6.012 0.000 11.111
ATOMIC_POSITIONS crystal
Li 0.000 0.000 0.000
Li 0.071 0.071 0.354
Li 0.213 0.213 0.068
Li 0.360 0.360 0.789
Li 0.500 0.500 0.500
Li 0.640 0.640 0.211
Li 0.787 0.787 0.932
Li 0.929 0.929 0.646
Co 0.146 0.146 0.719
Co 0.286 0.286 0.427
Co 0.430 0.430 0.135
Co 0.570 0.570 0.865
Co 0.714 0.714 0.573
Co 0.854 0.854 0.281
O 0.028 0.028 0.175
O 0.112 0.112 0.541
O 0.170 0.170 0.888
O 0.254 0.254 0.251
O 0.315 0.315 0.603
O 0.396 0.396 0.984
O 0.455 0.455 0.302
O 0.545 0.545 0.698
O 0.604 0.604 0.016
O 0.685 0.685 0.397
O 0.746 0.746 0.749
O 0.830 0.830 0.112
O 0.888 0.888 0.459
O 0.972 0.972 0.825
! corrected total energy (MP2020 scheme)	-6.224	eV/atom
! total moment	1.0	μB per formula unit
! energy of formation from the pure elements	-1681	meV per atom
=====
4